Contents:
Record 1
Below is crystalline NaNbGeO5 at its relaxed geometry, with properties calculated at the GGA-PBE level.

Lattice parameters (Å, degrees): 9.0156 6.9446 7.6979 64.19 90.00 90.00
With the nearest neighbours (Å) after each atom.
Element x y z (fractional)
1 Na 0.4193 0.7589 0.2040  6 O 2.36-2.59
2 Na 0.0807 0.7589 0.7040  6 O 2.36-2.59
3 Na 0.9193 0.2411 0.2960  6 O 2.36-2.59
4 Na 0.5807 0.2411 0.7960  6 O 2.36-2.59
5 O 0.1825 0.9536 0.0855  1 Ge 1.77
6 O 0.9522 0.8452 0.3877  1 Ge 1.78
7 O 0.8175 0.0464 0.9145  1 Ge 1.77
8 O 0.4522 0.1548 0.1123  1 Ge 1.78
9 O 0.4540 0.3578 0.3755  1 Ge 1.77
10 O 0.1900 0.5622 0.4060  1 Ge 1.77
11 O 0.3175 0.9536 0.5855  1 Ge 1.77
12 O 0.5478 0.8452 0.8877  1 Ge 1.78
13 O 0.0460 0.3578 0.8755  1 Ge 1.77
14 O 0.1786 0.2534 0.2516  1 Nb 1.83
15 O 0.6825 0.0464 0.4145  1 Ge 1.77
16 O 0.6900 0.4378 0.0940  1 Ge 1.77
17 O 0.6786 0.7466 0.2484  1 Nb 1.83
18 O 0.3214 0.2534 0.7516  1 Nb 1.83
19 O 0.8214 0.7466 0.7484  1 Nb 1.83
20 O 0.9540 0.6422 0.1245  1 Ge 1.77
21 O 0.0478 0.1548 0.6123  1 Ge 1.78
22 O 0.3100 0.5622 0.9060  1 Ge 1.77
23 O 0.8100 0.4378 0.5940  1 Ge 1.77
24 O 0.5460 0.6422 0.6245  1 Ge 1.77
25 Nb 0.2386 0.2591 0.0219  4 O 1.83-2.02
26 Nb 0.7386 0.7409 0.4781  4 O 1.83-2.02
27 Nb 0.2614 0.2591 0.5219  4 O 1.83-2.02
28 Nb 0.7614 0.7409 0.9781  4 O 1.83-2.02
29 Ge 0.0637 0.7542 0.2482  4 O 1.77-1.78
30 Ge 0.9363 0.2458 0.7518  4 O 1.77-1.78
31 Ge 0.5637 0.2458 0.2518  4 O 1.77-1.78
32 Ge 0.4363 0.7542 0.7482  4 O 1.77-1.78

E_tot: -232.00 eV per cell
theoretical density: 4.1 g/cm³
total magnetization: 0.00 μB per cell
DFT formation energy: -249 kJ/mol of atoms

***

Record 2
Below is crystalline MgBi2I8O8 at its relaxed geometry, with properties calculated at the GGA-PBE level.

Lattice parameters (Å, degrees): 7.4771 13.2198 14.2991 90.00 102.48 90.00
With the nearest neighbours (Å) after each atom.
Element x y z (fractional)
1 O 0.2774 0.4162 0.0199  1 O 1.39
2 O 0.2774 0.0838 0.5199  1 O 1.39
3 O 0.8761 0.5760 0.0541  1 O 1.39
4 O 0.7226 0.5838 0.9801  1 O 1.39
5 O 0.8761 0.9240 0.5541  1 O 1.39
6 O 0.1239 0.4240 0.9459  1 O 1.39
7 O 0.2884 0.6158 0.9949  1 I 1.82
8 O 0.7116 0.1158 0.5051  1 I 1.82
9 O 0.1239 0.0760 0.4459  1 O 1.39
10 O 0.7116 0.3842 0.0051  1 I 1.82
11 O 0.3418 0.9767 0.3379  1 I 1.83
12 O 0.3418 0.5233 0.8379  1 I 1.83
13 O 0.2884 0.8842 0.4949  1 I 1.82
14 O 0.6582 0.4767 0.1621  1 I 1.83
15 O 0.6582 0.0233 0.6621  1 I 1.83
16 O 0.7226 0.9162 0.4801  1 O 1.39
17 I 0.7191 0.1492 0.2380  1 Bi 2.89
18 I 0.4607 0.8672 0.0915  1 Bi 2.91
19 I 0.4607 0.6328 0.5915  1 Bi 2.91
20 I 0.1465 0.9326 0.3846  2 O 1.82-1.83
21 I 0.7191 0.3508 0.7380  1 Bi 2.89
22 I 0.2809 0.6492 0.2620  1 Bi 2.89
23 I 0.8535 0.4326 0.1154  2 O 1.82-1.83
24 I 0.1126 0.3460 0.5592  1 Bi 2.97
25 I 0.8874 0.6540 0.4408  1 Bi 2.97
26 I 0.5393 0.1328 0.9085  1 Bi 2.91
27 I 0.1126 0.1540 0.0592  1 Bi 2.97
28 I 0.1465 0.5674 0.8846  2 O 1.82-1.83
29 I 0.5393 0.3672 0.4085  1 Bi 2.91
30 I 0.8874 0.8460 0.9408  1 Bi 2.97
31 I 0.2809 0.8508 0.7620  1 Bi 2.89
32 I 0.8535 0.0674 0.6154  2 O 1.82-1.83
33 Bi 0.7789 0.4617 0.5731  3 I 2.89-2.97
34 Bi 0.2211 0.9617 0.9269  3 I 2.89-2.97
35 Bi 0.7789 0.0383 0.0731  3 I 2.89-2.97
36 Bi 0.2211 0.5383 0.4269  3 I 2.89-2.97
37 Mg 0.5000 0.0000 0.5000  4 O 2.07-2.19
38 Mg 0.5000 0.5000 0.0000  4 O 2.07-2.19

E_tot: -135.23 eV per cell
theoretical density: 3.8 g/cm³
total magnetization: 0.00 μB per cell
DFT formation energy: -39 kJ/mol of atoms

***

Record 3
Below is crystalline ThFe2Ni3 at its relaxed geometry, with properties calculated at the GGA-PBE level.

Lattice parameters (Å, degrees): 4.9856 4.9856 3.9987 90.00 90.00 120.00
With the nearest neighbours (Å) after each atom.
Element x y z (fractional)
1 Ni 0.0000 0.5000 0.5000  4 Fe 2.46, 4 Ni 2.49
2 Ni 0.5000 0.5000 0.5000  4 Fe 2.46, 4 Ni 2.49
3 Ni 0.5000 0.0000 0.5000  4 Fe 2.46, 4 Ni 2.49
4 Th 0.0000 0.0000 0.0000  6 Fe 2.88, 12 Ni 3.20
5 Fe 0.6667 0.3333 0.0000  6 Ni 2.46

Exercise:
Next, duplicate all of the entries further above without additions.

Done:
Record 1
Below is crystalline NaNbGeO5 at its relaxed geometry, with properties calculated at the GGA-PBE level.

Lattice parameters (Å, degrees): 9.0156 6.9446 7.6979 64.19 90.00 90.00
With the nearest neighbours (Å) after each atom.
Element x y z (fractional)
1 Na 0.4193 0.7589 0.2040  6 O 2.36-2.59
2 Na 0.0807 0.7589 0.7040  6 O 2.36-2.59
3 Na 0.9193 0.2411 0.2960  6 O 2.36-2.59
4 Na 0.5807 0.2411 0.7960  6 O 2.36-2.59
5 O 0.1825 0.9536 0.0855  1 Ge 1.77
6 O 0.9522 0.8452 0.3877  1 Ge 1.78
7 O 0.8175 0.0464 0.9145  1 Ge 1.77
8 O 0.4522 0.1548 0.1123  1 Ge 1.78
9 O 0.4540 0.3578 0.3755  1 Ge 1.77
10 O 0.1900 0.5622 0.4060  1 Ge 1.77
11 O 0.3175 0.9536 0.5855  1 Ge 1.77
12 O 0.5478 0.8452 0.8877  1 Ge 1.78
13 O 0.0460 0.3578 0.8755  1 Ge 1.77
14 O 0.1786 0.2534 0.2516  1 Nb 1.83
15 O 0.6825 0.0464 0.4145  1 Ge 1.77
16 O 0.6900 0.4378 0.0940  1 Ge 1.77
17 O 0.6786 0.7466 0.2484  1 Nb 1.83
18 O 0.3214 0.2534 0.7516  1 Nb 1.83
19 O 0.8214 0.7466 0.7484  1 Nb 1.83
20 O 0.9540 0.6422 0.1245  1 Ge 1.77
21 O 0.0478 0.1548 0.6123  1 Ge 1.78
22 O 0.3100 0.5622 0.9060  1 Ge 1.77
23 O 0.8100 0.4378 0.5940  1 Ge 1.77
24 O 0.5460 0.6422 0.6245  1 Ge 1.77
25 Nb 0.2386 0.2591 0.0219  4 O 1.83-2.02
26 Nb 0.7386 0.7409 0.4781  4 O 1.83-2.02
27 Nb 0.2614 0.2591 0.5219  4 O 1.83-2.02
28 Nb 0.7614 0.7409 0.9781  4 O 1.83-2.02
29 Ge 0.0637 0.7542 0.2482  4 O 1.77-1.78
30 Ge 0.9363 0.2458 0.7518  4 O 1.77-1.78
31 Ge 0.5637 0.2458 0.2518  4 O 1.77-1.78
32 Ge 0.4363 0.7542 0.7482  4 O 1.77-1.78

E_tot: -232.00 eV per cell
theoretical density: 4.1 g/cm³
total magnetization: 0.00 μB per cell
DFT formation energy: -249 kJ/mol of atoms

***

Record 2
Below is crystalline MgBi2I8O8 at its relaxed geometry, with properties calculated at the GGA-PBE level.

Lattice parameters (Å, degrees): 7.4771 13.2198 14.2991 90.00 102.48 90.00
With the nearest neighbours (Å) after each atom.
Element x y z (fractional)
1 O 0.2774 0.4162 0.0199  1 O 1.39
2 O 0.2774 0.0838 0.5199  1 O 1.39
3 O 0.8761 0.5760 0.0541  1 O 1.39
4 O 0.7226 0.5838 0.9801  1 O 1.39
5 O 0.8761 0.9240 0.5541  1 O 1.39
6 O 0.1239 0.4240 0.9459  1 O 1.39
7 O 0.2884 0.6158 0.9949  1 I 1.82
8 O 0.7116 0.1158 0.5051  1 I 1.82
9 O 0.1239 0.0760 0.4459  1 O 1.39
10 O 0.7116 0.3842 0.0051  1 I 1.82
11 O 0.3418 0.9767 0.3379  1 I 1.83
12 O 0.3418 0.5233 0.8379  1 I 1.83
13 O 0.2884 0.8842 0.4949  1 I 1.82
14 O 0.6582 0.4767 0.1621  1 I 1.83
15 O 0.6582 0.0233 0.6621  1 I 1.83
16 O 0.7226 0.9162 0.4801  1 O 1.39
17 I 0.7191 0.1492 0.2380  1 Bi 2.89
18 I 0.4607 0.8672 0.0915  1 Bi 2.91
19 I 0.4607 0.6328 0.5915  1 Bi 2.91
20 I 0.1465 0.9326 0.3846  2 O 1.82-1.83
21 I 0.7191 0.3508 0.7380  1 Bi 2.89
22 I 0.2809 0.6492 0.2620  1 Bi 2.89
23 I 0.8535 0.4326 0.1154  2 O 1.82-1.83
24 I 0.1126 0.3460 0.5592  1 Bi 2.97
25 I 0.8874 0.6540 0.4408  1 Bi 2.97
26 I 0.5393 0.1328 0.9085  1 Bi 2.91
27 I 0.1126 0.1540 0.0592  1 Bi 2.97
28 I 0.1465 0.5674 0.8846  2 O 1.82-1.83
29 I 0.5393 0.3672 0.4085  1 Bi 2.91
30 I 0.8874 0.8460 0.9408  1 Bi 2.97
31 I 0.2809 0.8508 0.7620  1 Bi 2.89
32 I 0.8535 0.0674 0.6154  2 O 1.82-1.83
33 Bi 0.7789 0.4617 0.5731  3 I 2.89-2.97
34 Bi 0.2211 0.9617 0.9269  3 I 2.89-2.97
35 Bi 0.7789 0.0383 0.0731  3 I 2.89-2.97
36 Bi 0.2211 0.5383 0.4269  3 I 2.89-2.97
37 Mg 0.5000 0.0000 0.5000  4 O 2.07-2.19
38 Mg 0.5000 0.5000 0.0000  4 O 2.07-2.19

E_tot: -135.23 eV per cell
theoretical density: 3.8 g/cm³
total magnetization: 0.00 μB per cell
DFT formation energy: -39 kJ/mol of atoms

***

Record 3
Below is crystalline ThFe2Ni3 at its relaxed geometry, with properties calculated at the GGA-PBE level.

Lattice parameters (Å, degrees): 4.9856 4.9856 3.9987 90.00 90.00 120.00
With the nearest neighbours (Å) after each atom.
Element x y z (fractional)
1 Ni 0.0000 0.5000 0.5000  4 Fe 2.46, 4 Ni 2.49
2 Ni 0.5000 0.5000 0.5000  4 Fe 2.46, 4 Ni 2.49
3 Ni 0.5000 0.0000 0.5000  4 Fe 2.46, 4 Ni 2.49
4 Th 0.0000 0.0000 0.0000  6 Fe 2.88, 12 Ni 3.20
5 Fe 0.6667 0.3333 0.0000  6 Ni 2.46